New Guy Los Angeles Confused Please Help


New Member
Hey Guys,
I always want to hunt since I was 4 never got to and now I am 32

Inserted here: records of crystals
'''
The following is a GGA-PBE calculation of a relaxed structure of La39Se56, from the Materials Project.

Results
SG = P1
calculated total energy = -0.448 Ry/atom
DFT formation energy = -2289.4 meV per atom
magnetic moment = 1.14 μB/f.u.

a b c (Å): 7.8835 7.8865 55.1062
angles (deg): 109.35 109.68 109.40
Positions (direct):
La (0.1302, 0.7521, 0.9829)
La (0.1224, 0.7478, 0.8388)
La (0.2490, 0.6236, 0.9101)
La (0.3756, 0.2512, 0.9465)
La (0.2495, 0.6253, 0.7679)
La (0.1267, 0.7508, 0.6968)
La (0.6240, 0.3741, 0.8922)
La (0.3743, 0.2498, 0.8035)
La (0.7474, 0.8703, 0.8740)
La (0.1220, 0.7495, 0.5526)
La (0.8769, 0.1262, 0.9645)
La (0.2524, 0.6301, 0.6261)
La (0.7508, 0.8760, 0.7326)
La (0.3757, 0.2507, 0.6612)
La (0.6247, 0.3748, 0.7502)
La (0.8741, 0.1250, 0.8211)
La (0.2374, 0.6145, 0.4780)
La (0.3677, 0.2486, 0.5160)
La (0.7520, 0.8774, 0.5896)
La (0.6286, 0.3770, 0.6076)
La (0.8797, 0.1289, 0.6791)
La (0.2353, 0.6200, 0.3382)
La (0.7372, 0.8551, 0.4416)
La (0.3605, 0.2428, 0.3721)
La (0.6077, 0.3488, 0.4610)
La (0.8759, 0.1240, 0.5353)
La (0.2438, 0.6338, 0.1978)
La (0.7466, 0.8690, 0.3013)
La (0.3782, 0.2501, 0.2328)
La (0.6234, 0.3628, 0.3212)
La (0.8791, 0.1268, 0.3918)
La (0.2517, 0.6407, 0.0577)
La (0.7525, 0.8806, 0.1612)
La (0.3915, 0.2577, 0.0931)
La (0.6270, 0.3692, 0.1803)
La (0.8860, 0.1363, 0.2513)
La (0.7545, 0.8842, 0.0191)
La (0.6390, 0.3862, 0.0388)
La (0.8930, 0.1400, 0.1106)
Se (0.9994, 0.8504, 0.9285)
Se (0.9989, 0.3501, 0.9284)
Se (0.4986, 0.0008, 0.9777)
Se (0.0001, 0.8489, 0.7858)
Se (0.1506, 0.1510, 0.8788)
Se (0.0003, 0.3488, 0.7858)
Se (0.3490, 0.5007, 0.8574)
Se (0.6475, 0.6478, 0.9493)
Se (0.9991, 0.8488, 0.6429)
Se (0.9998, 0.3484, 0.6428)
Se (0.1504, 0.1504, 0.7358)
Se (0.5007, 0.0004, 0.9070)
Se (0.3488, 0.5002, 0.7142)
Se (0.6514, 0.6512, 0.8074)
Se (0.5003, 0.0004, 0.8357)
Se (0.0043, 0.8578, 0.5012)
Se (0.8490, 0.4999, 0.8573)
Se (0.4992, 0.9992, 0.7641)
Se (0.1537, 0.1534, 0.5936)
Se (0.0038, 0.3592, 0.5013)
Se (0.3542, 0.5014, 0.5719)
Se (0.6508, 0.6506, 0.6643)
Se (0.4992, 0.9998, 0.6926)
Se (0.9962, 0.8547, 0.3560)
Se (0.8483, 0.4991, 0.7142)
Se (0.5002, 0.0001, 0.6215)
Se (0.1585, 0.1648, 0.4528)
Se (0.0013, 0.3438, 0.3574)
Se (0.3589, 0.4982, 0.4297)
Se (0.5039, 0.0040, 0.5515)
Se (0.6567, 0.6587, 0.5229)
Se (0.9937, 0.8518, 0.2124)
Se (0.8547, 0.5017, 0.5720)
Se (0.5129, 0.0092, 0.4817)
Se (0.1555, 0.1580, 0.3081)
Se (0.9996, 0.3416, 0.2136)
Se (0.3598, 0.4943, 0.2865)
Se (0.5039, 0.0022, 0.4072)
Se (0.6365, 0.6476, 0.3777)
Se (0.9932, 0.8518, 0.0695)
Se (0.8464, 0.5021, 0.4298)
Se (0.1489, 0.1521, 0.1643)
Se (0.5083, 0.0041, 0.3381)
Se (0.9945, 0.3356, 0.0695)
Se (0.3571, 0.4927, 0.1431)
Se (0.5029, 0.0014, 0.2636)
Se (0.6328, 0.6432, 0.2340)
Se (0.8426, 0.4984, 0.2859)
Se (0.5092, 0.0042, 0.1945)
Se (0.1443, 0.1411, 0.0193)
Se (0.3520, 0.4971, 0.9994)
Se (0.5007, 0.9985, 0.1197)
Se (0.6326, 0.6390, 0.0908)
Se (0.8415, 0.4955, 0.1421)
Se (0.4950, 0.9958, 0.0484)
Se (0.8498, 0.4960, 0.9990)
'''

My questions is are there groups or organizations I can join were I can go on hunting trips or just for the day
with a group of guys?

My 2nd question I see there are "guided tours" is that the only way to actually hunt hogs or any type of
hunt here in California or can you go on public land and take something down with out spending a ton of money.

## Between two parts of the entry: materials data
(1)
CeMgGa after structural relaxation. Source: the Materials Project, functional PBE.

Structure (POSCAR):
```
CeMgGa
1.0
3.718 -6.439 0.000
3.718 6.439 0.000
0.000 0.000 4.529
Ga Ce Mg
3 3 3
Direct
0.667 0.333 0.500
0.333 0.667 0.500
0.000 0.000 0.000
0.422 0.000 0.000
0.578 0.578 0.000
0.000 0.422 0.000
0.758 0.000 0.500
0.000 0.758 0.500
0.242 0.242 0.500
```

Its crystal system is hexagonal. The space group is P-62m, No. 189. The total energy comes out at -0.2856 Ry per atom. The calculation puts the energy of formation at -0.37 eV per atom.

(2)
CeMg14Ga after structural relaxation. Source: the Materials Project, functional PBE.

Structure (POSCAR):
```
CeMg14Ga
1.0
-1.304 -4.849 3.924
3.976 -0.852 -4.906
7.822 2.653 5.878
Mg Ce Ga
14 1 1
Direct
0.333 0.665 0.865
0.833 0.667 0.362
0.835 0.167 0.865
0.333 0.167 0.865
0.835 0.167 0.385
0.670 0.830 0.625
0.333 0.167 0.385
0.659 0.841 0.125
0.833 0.667 0.888
0.333 0.665 0.385
0.160 0.830 0.625
0.659 0.319 0.125
0.670 0.340 0.625
0.181 0.841 0.125
0.167 0.333 0.125
0.167 0.333 0.625
```

Its crystal system is hexagonal. The space group is P-6m2, No. 187. The total energy comes out at -0.1417 Ry per atom. The calculation puts the excess energy over the best structure of this formula in the dataset at 0.56 eV/f.u. The calculation puts the total magnetic moment at 0.006 μB per atom. The calculation puts the energy of formation at 0.03 eV per atom.


(1)
VASP calculation (PBE with a Hubbard U) on Mg6CoCO8 after structural relaxation.

Properties
The calculation puts the energy above the most stable polymorph in this dataset at 15 meV per atom. The calculation puts the final energy at -5.783 eV per atom. Its volume is 151.3 Å³ per cell.

a b c (Å): 4.205 4.205 8.559
angles (deg): 90.00 90.00 90.00
Space group P4/mmm (No. 123)
Inequivalent atoms, fractional coordinates:
Mg1 0.000 0.000 0.000 [1 per cell]
Mg2 0.000 0.500 0.255 [4 per cell]
Mg3 0.500 0.500 0.000 [1 per cell]
Co1 0.000 0.000 0.500 [1 per cell]
C1 0.500 0.500 0.500 [1 per cell]
O1 0.000 0.000 0.249 [2 per cell]
O2 0.000 0.500 0.000 [2 per cell]
O3 0.000 0.500 0.500 [2 per cell]
O4 0.500 0.500 0.251 [2 per cell]

=====

(2)
VASP calculation (PBE with a Hubbard U) on YCoC6N6O5 after structural relaxation.

Properties
The calculation puts the final energy at -6.882 eV per atom. Its volume is 638.2 Å³ per cell.

a b c (Å): 7.5701 7.5701 12.8594
angles (deg): 90.00 90.00 120.00
Space group P6_3/m (No. 176)
Inequivalent atoms, fractional coordinates:
Y1 0.3333 0.6667 0.2500 [2 per cell]
Co1 0.0000 0.0000 0.0000 [2 per cell]
C1 0.1039 0.8696 0.0824 [12 per cell]
N1 0.1730 0.7890 0.1322 [12 per cell]
O1 0.0731 0.5593 0.7500 [6 per cell]
O2 0.3333 0.6667 0.6566 [4 per cell]

=====

(3)
VASP calculation (PBE with a Hubbard U) on Na5CoCO5 after structural relaxation.

Properties
The calculation puts the final energy at -5.225 eV per atom. Its volume is 187.0 Å³ per cell.

a b c (Å): 4.524 8.340 4.956
angles (deg): 90.00 90.00 90.00
## The materials data stop here

Thank you for reading my post look forward to your replies
Welcome to the site hharo.
Never heard of any groups like what you are asking about.
You can hunt on public land like the National forest or BLM property. The reason most people hunt hogs with a guide is because most of the hogs are on private property. So hunting with a guide gives you access to private property with a better chance of seeing hogs. More than likely you will hunt many years on public land before you will see a hog. So unless you have a good public land spot with hogs. It's cheaper over time to hire a guide.
You will also need to take a hunter safety course before you can buy a hunting license.
hharo70 said:
Thank you for reading my post look forward to your replies

Congrats on getting moving towards hunting... it's an addiction like no other. There are groups of hunters that will go on a hunt, but generally, groups are small, like 2 or 3 people. When you have a bigger hunting group, it's more likely a giant area of private land that guides will take a group out on. Otherwise, if you went, say to hunt deer, you wouldn't want more than 1 other person with you... could you imagine if there were 20 people hunting in 1 spot for 1 deer (oh wait... D15/D16). Just saying that it's a cluster if too many people are hunting together.

There's lots of public land and there's lots of private land. Your best bet is to get on the DFW website and start clicking around. Look for what areas interest you and then do internet searches. BLM Maps (Bureau of Land Manangement) as well as National Forest Atlases are a great way to scout on paper on perspective hunting grounds. Nothing will beat getting in your vehicle, getting out, and hiking. You have to get off the beaten path!!

There are good guides out there and there are bad guides out there so if you're going for a guide, do your research. There's an outstanding guide on here (Neil from GSGS). Check out some of his client pics and success stories. You have to think of a guide like this (especially with pig): everyone wants a pig and nobody wants to pay for one... How many trips is it worth it for you to get one? If you go 50 times and only see sign and never get one and spend all the gas and time searching, you could have paid for a guided / semi-guided hunt and had a much higher chance of success. Saying that, you wouldn't have nearly the land / scouting experience not getting out and doing the scouting yourself and knowing the areas you want to hunt.

I'll tell you that if you want to start with pig, you're most likely going to end up hunting everything else as well. Lots of my spots hold multiple game animals so getting out and looking myself was my best avenue.

Hope this helps a little. Good luck to you.
You have come to the right spot hharo70. Networking and getting to know folks that hunt is just a bonus for you as far as your learning curve is concerned. I suggest you come to the SCH banquet and meet the folks who are on this forum. There are a lot of people who have been helping others on this site.

The more you are involved the more opportunities will arise.